• Gray Matters

    How I Quit the Bottle (the Hair Dye Bottle)

    There’s been a recent barrage of going gray and loving it articles. I have many thoughts on the subject. One, is that these articles often mention how much money the author saves now that they stop coloring their hair. I’ve only had my hair professionally colored i.e. bleached, twice in my entire life because I thought maybe a professional would damage is less and get better results than when I would do it myself like four times in two days and still have apricot-hued strips. My hair did not become perfect platinum in one go even when I forwent d.i.y. and paid a good deal of money. My question is do average women really spend $200+ every six weeks to get their hair colored?

  • Middle Ages

    Parker Posey Still Loves Generation X

    Parker Posey Still Loves Generation X

  • Middle Ages

    Exclusive: June 2018 cover star Zadie Smith weighs in on the great age debate

    Exclusive: June 2018 cover star Zadie Smith weighs in on the great age debate

  • Barred

    Interboro Spirits and Ales

    When: Easter Sunday, 4:03pm

    I walked the longer walk than anticipated from McCarren Park, down Metropolitan Ave., to Interboro, this brewery/distillery past the Grand St. stop along one of the last remaining gritty strips in Williamsburg. Fittingly, for my last few weeks in NYC, I saw the bank near Graham Ave. that was the source of the closest/only ATM when I first moved here (That doesn’t seem right–wouldn’t there be some in bodegas?) and the razed spot where the White Castle stood. Once when I was 26 after a debauched night with some very young British boys (young enough that they were shocked when I said my age) I met in the Charleston, which I can’t believe is still the Charleston, I walked on Metropolitan all the way home to Ridgewood at 5am (roughly 3.6 miles–I just checked). At 45, I only have minutely better judgment but in 2018 I would definitely spring for a Lyft.

    I was meeting Karen, whom I hadn’t seen since I interviewed her, and has lived nearby for 20 years like a good old-school Williamsburger, hanging on, waiting for a payoff. I currently know three other women in this position. I’m impatient. I would just move, but I’ve never had a rent stabilized apartment. 

    Interboro is mildly confusing because they produce beers, nearly all IPAs, and spirits of all sorts. Most of the clientele were drinking beer, four 4oz tastings for $10, a bargain. 

The article is interrupted by calculated crystals:
┌──
{
  "formula": "NaMn2F",
  "functional": "PBE with a Hubbard U",
  "state": "optimized geometry",
  "spacegroup": "I-42d, No. 122",
  "e_above_lowest_polymorph_mev_per_atom": 0.0,
  "final_energy_ev_per_atom": -4.80,
  "m_tot_mub_per_fu": 9.58,
  "density_g_cm3": 2.9,
  "cell": [[-1.886, 1.886, 12.068], [1.886, -1.886, 12.068], [1.886, 1.886, -12.068]],
  "species": ["Na", "Na", "Mn", "Mn", "Mn", "Mn", "F", "F"],
  "frac_coords": [[0.000, 0.000, 0.000], [0.750, 0.250, 0.500], [0.129, 0.125, 0.504], [0.375, 0.871, 0.996], [0.621, 0.625, 0.496], [0.875, 0.379, 0.004], [0.250, 0.750, 0.500], [0.500, 0.500, 0.000]]
}

----------

1.
# PBE Ca3NdPt2, relaxed
# Formation enthalpy at 0 K in eV/f.u.: -4.6
# Spin magnetization in μB per atom: 0.000
# Space-group type: Pmc2_1, No. 26
data_Ca3NdPt2
_chemical_formula_sum 'Ca6 Nd2 Pt4'
_space_group_name_H-M_alt 'P 1'
_space_group_IT_number 1
_cell_length_a 4.547
_cell_length_b 7.593
_cell_length_c 9.288
_cell_angle_alpha 90.00
_cell_angle_beta 90.00
_cell_angle_gamma 90.00
loop_
_space_group_symop_operation_xyz
'x,y,z'
loop_
_atom_site_label
_atom_site_type_symbol
_atom_site_fract_x
_atom_site_fract_y
_atom_site_fract_z
_atom_site_occupancy
Pt1 Pt 0.500 0.739 0.857 1
Pt2 Pt 0.500 0.239 0.143 1
Pt3 Pt 0.000 0.254 0.627 1
Pt4 Pt 0.000 0.754 0.373 1
Ca1 Ca 0.500 0.146 0.825 1
Ca2 Ca 0.000 0.479 0.913 1
Ca3 Ca 0.000 0.979 0.087 1
Ca4 Ca 0.000 0.360 0.314 1
Ca5 Ca 0.000 0.860 0.686 1
Ca6 Ca 0.500 0.646 0.175 1
Nd1 Nd 0.500 0.522 0.585 1
Nd2 Nd 0.500 0.022 0.415 1


2.
# PBE CaNdPt, relaxed
# Formation enthalpy at 0 K in eV/f.u.: -2.1
# Spin magnetization in μB per atom: 0.000
# Space-group type: C2/m, No. 12
data_CaNdPt
_chemical_formula_sum 'Ca2 Nd2 Pt2'
_space_group_name_H-M_alt 'P 1'
_space_group_IT_number 1
_cell_length_a 3.624
_cell_length_b 7.248
_cell_length_c 7.051
_cell_angle_alpha 105.06
_cell_angle_beta 104.89
_cell_angle_gamma 90.05
loop_
_space_group_symop_operation_xyz
'x,y,z'
loop_
_atom_site_label
_atom_site_type_symbol
_atom_site_fract_x
_atom_site_fract_y
_atom_site_fract_z
_atom_site_occupancy
Pt1 Pt 0.939 0.821 0.645 1
Pt2 Pt 0.939 0.283 0.644 1
Nd1 Nd 0.570 0.117 0.906 1
Nd2 Nd 0.308 0.987 0.383 1
Ca1 Ca 0.563 0.615 0.894 1
Ca2 Ca 0.315 0.489 0.395 1
└──

    The bartenders switched from The Cars at one point to Operation Ivy. “I haven’t heard this in a long time,” the long-haired one one said to the short-haired.  I hadn’t either, and it made me wonder when they became acquainted with this album since I listened to “Energy” in high school and these guys couldn’t have been older than kindergartners in 1989. Then again, I was only six when “Just What I Needed” came out and I’m perfectly familiar with the song. (Operation Ivy weren’t top 40 though…)

    Age appropriate? Despite a mostly millennial clientele, I would say yes. There is an added layer to drinking at the same location where the beverages are produced that is nerdy in a way that could attract all ages. I did see a handsome white-haired man who could’ve been mid-40s or mid-50s with a woman of similar age and hair color. He looked like a British character actor who I couldn’t place until this morning. I forgot how in NYC when you see someone who might be someone, it’s not unreasonable that they are that person. This man was not Mark Bonnar, as it turned out, but I’m only mentioning this because I impressed myself that I even turned up this actor’s name with little to go on.